**Request:**
Now type out the whole of the material further below without altering anything.
**Material:**
+++
Entry 1:
This entry pairs a crystal structure of Li8NbNi3P6O24 with its theoretical powder X-ray diffraction pattern. Radiation: Cu Kα (weighted mean of Kα1 and Kα2). Structure: a crystal structure in the Materials Project, relaxed with GGA+U.
Peak positions follow from Bragg's law for the DFT cell and can differ from measured ones.

a b c (Å): 8.791 8.791 8.791
angles (deg): 60.66 60.66 60.66
Positions (direct):
Li 0.000 0.000 0.000
Li 0.173 0.833 0.356
Li 0.220 0.681 0.855
Li 0.356 0.173 0.833
Li 0.497 0.497 0.497
Li 0.681 0.855 0.220
Li 0.833 0.356 0.173
Li 0.855 0.220 0.681
Nb 0.669 0.669 0.669
Ni 0.173 0.173 0.173
Ni 0.375 0.375 0.375
Ni 0.871 0.871 0.871
P 0.077 0.476 0.771
P 0.269 0.983 0.568
P 0.476 0.771 0.077
P 0.568 0.269 0.983
P 0.771 0.077 0.476
P 0.983 0.568 0.269
O 0.056 0.648 0.795
O 0.061 0.308 0.951
O 0.093 0.976 0.745
O 0.136 0.533 0.327
O 0.243 0.991 0.403
O 0.274 0.418 0.633
O 0.308 0.951 0.061
O 0.327 0.136 0.533
O 0.403 0.243 0.991
O 0.416 0.784 0.623
O 0.418 0.633 0.274
O 0.523 0.702 0.922
O 0.533 0.327 0.136
O 0.623 0.416 0.784
O 0.633 0.274 0.418
O 0.648 0.795 0.056
O 0.702 0.922 0.523
O 0.745 0.093 0.976
O 0.784 0.623 0.416
O 0.795 0.056 0.648
O 0.922 0.523 0.702
O 0.951 0.061 0.308
O 0.976 0.745 0.093
O 0.991 0.403 0.243

Principal peaks in the range 2θ from 10° to 80°, by intensity:
- 2θ = 23.60°, intensity 100
- 2θ = 20.20°, intensity 81
- 2θ = 32.17°, intensity 67
- 2θ = 20.00°, intensity 45
- 2θ = 28.58°, intensity 39
- 2θ = 35.01°, intensity 35
- 2θ = 14.18°, intensity 35
- 2θ = 54.73°, intensity 35
- 2θ = 48.27°, intensity 26
- 2θ = 53.11°, intensity 22

***

Entry 2:
This entry pairs a crystal structure of MgFeCoO4 with its theoretical powder X-ray diffraction pattern. Radiation: Cu Kα (weighted mean of Kα1 and Kα2). Structure: a crystal structure in the Materials Project, relaxed with GGA+U.
Peak positions follow from Bragg's law for the DFT cell and can differ from measured ones.

a b c (Å): 4.990 2.950 5.103
angles (deg): 90.00 106.50 90.00
Positions (direct):
Mg 0.000 0.000 0.000
Fe 0.500 0.000 0.500
Co 0.000 0.500 0.500
O 0.214 0.000 0.707
O 0.245 0.500 0.267
O 0.755 0.500 0.733
O 0.786 0.000 0.293

Principal peaks in the range 2θ from 10° to 80°, by intensity:
- 2θ = 18.13°, intensity 100
- 2θ = 42.86°, intensity 73
- 2θ = 44.84°, intensity 33
- 2θ = 35.75°, intensity 23
- 2θ = 63.17°, intensity 19
- 2θ = 64.34°, intensity 18
- 2θ = 37.75°, intensity 17
- 2θ = 36.84°, intensity 12
- 2θ = 18.54°, intensity 12
- 2θ = 56.27°, intensity 10

***

Entry 3:
This entry pairs a crystal structure of VZn6P3O16 with its theoretical powder X-ray diffraction pattern. Radiation: Cu Kα (weighted mean of Kα1 and Kα2). Structure: a crystal structure in the Materials Project, relaxed with GGA+U.
Peak positions follow from Bragg's law for the DFT cell and can differ from measured ones.

a b c (Å): 5.408 8.438 8.539
angles (deg): 73.91 71.80 89.70
Positions (direct):
V 0.000 0.000 0.000
Zn 0.194 0.260 0.605
Zn 0.522 0.716 0.245
Zn 0.569 0.198 0.865
Zn 0.613 0.756 0.612
Zn 0.628 0.228 0.247
Zn 0.982 0.681 0.868
P 0.178 0.936 0.486
P 0.422 0.506 0.997
P 0.750 0.439 0.485
O 0.180 0.501 0.941
O 0.248 0.821 0.647
O 0.304 0.878 0.327
O 0.305 0.117 0.448
O 0.333 0.000 0.940
O 0.383 0.562 0.157
O 0.515 0.325 0.036
O 0.521 0.324 0.643
O 0.649 0.620 0.836
O 0.656 0.619 0.449
O 0.784 0.381 0.327
O 0.848 0.799 0.043
O 0.865 0.071 0.173
O 0.881 0.938 0.539
O 0.928 0.134 0.820
O 0.994 0.444 0.538

Principal peaks in the range 2θ from 10° to 80°, by intensity:
- 2θ = 26.86°, intensity 100
- 2θ = 28.44°, intensity 76
- 2θ = 28.22°, intensity 72
- 2θ = 17.37°, intensity 45
- 2θ = 33.15°, intensity 39
- 2θ = 21.67°, intensity 36
- 2θ = 22.02°, intensity 30
- 2θ = 34.66°, intensity 25
- 2θ = 19.67°, intensity 25
- 2θ = 29.37°, intensity 23

***

Entry 4:
+++
**Completed:**
Entry 1:
This entry pairs a crystal structure of Li8NbNi3P6O24 with its theoretical powder X-ray diffraction pattern. Radiation: Cu Kα (weighted mean of Kα1 and Kα2). Structure: a crystal structure in the Materials Project, relaxed with GGA+U.
Peak positions follow from Bragg's law for the DFT cell and can differ from measured ones.

a b c (Å): 8.791 8.791 8.791
angles (deg): 60.66 60.66 60.66
Positions (direct):
Li 0.000 0.000 0.000
Li 0.173 0.833 0.356
Li 0.220 0.681 0.855
Li 0.356 0.173 0.833
Li 0.497 0.497 0.497
Li 0.681 0.855 0.220
Li 0.833 0.356 0.173
Li 0.855 0.220 0.681
Nb 0.669 0.669 0.669
Ni 0.173 0.173 0.173
Ni 0.375 0.375 0.375
Ni 0.871 0.871 0.871
P 0.077 0.476 0.771
P 0.269 0.983 0.568
P 0.476 0.771 0.077
P 0.568 0.269 0.983
P 0.771 0.077 0.476
P 0.983 0.568 0.269
O 0.056 0.648 0.795
O 0.061 0.308 0.951
O 0.093 0.976 0.745
O 0.136 0.533 0.327
O 0.243 0.991 0.403
O 0.274 0.418 0.633
O 0.308 0.951 0.061
O 0.327 0.136 0.533
O 0.403 0.243 0.991
O 0.416 0.784 0.623
O 0.418 0.633 0.274
O 0.523 0.702 0.922
O 0.533 0.327 0.136
O 0.623 0.416 0.784
O 0.633 0.274 0.418
O 0.648 0.795 0.056
O 0.702 0.922 0.523
O 0.745 0.093 0.976
O 0.784 0.623 0.416
O 0.795 0.056 0.648
O 0.922 0.523 0.702
O 0.951 0.061 0.308
O 0.976 0.745 0.093
O 0.991 0.403 0.243

Principal peaks in the range 2θ from 10° to 80°, by intensity:
- 2θ = 23.60°, intensity 100
- 2θ = 20.20°, intensity 81
- 2θ = 32.17°, intensity 67
- 2θ = 20.00°, intensity 45
- 2θ = 28.58°, intensity 39
- 2θ = 35.01°, intensity 35
- 2θ = 14.18°, intensity 35
- 2θ = 54.73°, intensity 35
- 2θ = 48.27°, intensity 26
- 2θ = 53.11°, intensity 22

***

Entry 2:
This entry pairs a crystal structure of MgFeCoO4 with its theoretical powder X-ray diffraction pattern. Radiation: Cu Kα (weighted mean of Kα1 and Kα2). Structure: a crystal structure in the Materials Project, relaxed with GGA+U.
Peak positions follow from Bragg's law for the DFT cell and can differ from measured ones.

a b c (Å): 4.990 2.950 5.103
angles (deg): 90.00 106.50 90.00
Positions (direct):
Mg 0.000 0.000 0.000
Fe 0.500 0.000 0.500
Co 0.000 0.500 0.500
O 0.214 0.000 0.707
O 0.245 0.500 0.267
O 0.755 0.500 0.733
O 0.786 0.000 0.293

Principal peaks in the range 2θ from 10° to 80°, by intensity:
- 2θ = 18.13°, intensity 100
- 2θ = 42.86°, intensity 73
- 2θ = 44.84°, intensity 33
- 2θ = 35.75°, intensity 23
- 2θ = 63.17°, intensity 19
- 2θ = 64.34°, intensity 18
- 2θ = 37.75°, intensity 17
- 2θ = 36.84°, intensity 12
- 2θ = 18.54°, intensity 12
- 2θ = 56.27°, intensity 10

***

Entry 3:
This entry pairs a crystal structure of VZn6P3O16 with its theoretical powder X-ray diffraction pattern. Radiation: Cu Kα (weighted mean of Kα1 and Kα2). Structure: a crystal structure in the Materials Project, relaxed with GGA+U.
Peak positions follow from Bragg's law for the DFT cell and can differ from measured ones.

a b c (Å): 5.408 8.438 8.539
angles (deg): 73.91 71.80 89.70
Positions (direct):
V 0.000 0.000 0.000
Zn 0.194 0.260 0.605
Zn 0.522 0.716 0.245
Zn 0.569 0.198 0.865
Zn 0.613 0.756 0.612
Zn 0.628 0.228 0.247
Zn 0.982 0.681 0.868
P 0.178 0.936 0.486
P 0.422 0.506 0.997
P 0.750 0.439 0.485
O 0.180 0.501 0.941
O 0.248 0.821 0.647
O 0.304 0.878 0.327
O 0.305 0.117 0.448
O 0.333 0.000 0.940
O 0.383 0.562 0.157
O 0.515 0.325 0.036
O 0.521 0.324 0.643
O 0.649 0.620 0.836
O 0.656 0.619 0.449
O 0.784 0.381 0.327
O 0.848 0.799 0.043
O 0.865 0.071 0.173
O 0.881 0.938 0.539
O 0.928 0.134 0.820
O 0.994 0.444 0.538

Principal peaks in the range 2θ from 10° to 80°, by intensity:
- 2θ = 26.86°, intensity 100
- 2θ = 28.44°, intensity 76
- 2θ = 28.22°, intensity 72
- 2θ = 17.37°, intensity 45
- 2θ = 33.15°, intensity 39
- 2θ = 21.67°, intensity 36
- 2θ = 22.02°, intensity 30
- 2θ = 34.66°, intensity 25
- 2θ = 19.67°, intensity 25
- 2θ = 29.37°, intensity 23

***

Entry 4: